Brief >
Search the data further down for the word "spin" and give back each line that has it.

Listing >
/*
<a>
Here is crystalline Zn6Cu2Pt at its relaxed geometry from the Alexandria database. Energies are from PBE.

```
data_Zn6Cu2Pt
_chemical_formula_sum 'Zn12 Cu4 Pt2'
_cell_length_a 4.418
_cell_length_b 7.151
_cell_length_c 8.466
_cell_angle_alpha 90.00
_cell_angle_beta 90.00
_cell_angle_gamma 90.00
_symmetry_space_group_name_H-M 'I m m m'
_symmetry_Int_Tables_number 71
_symmetry_space_group_name_Hall '-I 2 2'
loop_
_atom_site_label
_atom_site_type_symbol
_atom_site_fract_x
_atom_site_fract_y
_atom_site_fract_z
_atom_site_occupancy
Zn1 Zn 0.000 0.184 0.169 1
Zn2 Zn 0.000 0.199 0.500 1
Cu1 Cu 0.000 0.500 0.328 1
Pt1 Pt 0.000 0.500 0.000 1
```

Properties
* spin magnetization: 0.000 μB/cell

---

<b>
Here is crystalline Zn6Cu2Pt at its relaxed geometry from the Alexandria database. Energies are from PBE.

```
data_Zn6Cu2Pt
_chemical_formula_sum 'Zn12 Cu4 Pt2'
_cell_length_a 7.395
_cell_length_b 4.275
_cell_length_c 8.014
_cell_angle_alpha 90.00
_cell_angle_beta 90.17
_cell_angle_gamma 90.00
_symmetry_space_group_name_H-M 'C 1 2/m 1'
_symmetry_Int_Tables_number 12
loop_
_symmetry_equiv_pos_as_xyz
'x,y,z'
'-x,-y,-z'
'-x,y,-z'
'x,-y,z'
'x+1/2,y+1/2,z'
'-x+1/2,-y+1/2,-z'
'-x+1/2,y+1/2,-z'
'x+1/2,-y+1/2,z'
loop_
_atom_site_label
_atom_site_type_symbol
_atom_site_fract_x
_atom_site_fract_y
_atom_site_fract_z
_atom_site_occupancy
Zn1 Zn 0.000 0.000 0.173 1
Zn2 Zn 0.167 0.500 0.615 1
Zn3 Zn 0.167 0.500 0.959 1
Cu1 Cu 0.166 0.500 0.289 1
Pt1 Pt 0.000 0.000 0.500 1
```

Properties
* spin magnetization: 0.000 μB/cell

---

Stability ranking, top and bottom: <b> is the most stable and <a> is the least stable.

---

<a>
Here is crystalline ZnCu3Pt2 at its relaxed geometry from the Alexandria database. Energies are from PBE.

```
data_ZnCu3Pt2
_chemical_formula_sum 'Zn2 Cu6 Pt4'
_cell_length_a 5.302
_cell_length_b 3.846
_cell_length_c 8.002
_cell_angle_alpha 90.00
_cell_angle_beta 91.29
_cell_angle_gamma 90.00
_symmetry_space_group_name_H-M 'P 1 21/m 1'
_symmetry_Int_Tables_number 11
loop_
_symmetry_equiv_pos_as_xyz
'x,y,z'
'-x,-y,-z'
'-x,y+1/2,-z'
'x,-y+1/2,z'
loop_
_atom_site_label
_atom_site_type_symbol
_atom_site_fract_x
_atom_site_fract_y
_atom_site_fract_z
_atom_site_occupancy
Zn1 Zn 0.116 0.250 0.248 1
Cu1 Cu 0.134 0.250 0.579 1
Cu2 Cu 0.375 0.750 0.078 1
Cu3 Cu 0.385 0.750 0.749 1
Pt1 Pt 0.135 0.250 0.908 1
Pt2 Pt 0.361 0.750 0.409 1
```

Properties
* spin magnetization: 0.000 μB/cell

---

<b>
Here is crystalline ZnCu3Pt2 at its relaxed geometry from the Alexandria database. Energies are from PBE.

```
data_ZnCu3Pt2
_chemical_formula_sum 'Zn2 Cu6 Pt4'
_cell_length_a 3.766
_cell_length_b 11.504
_cell_length_c 3.763
_cell_angle_alpha 90.00
_cell_angle_beta 90.00
_cell_angle_gamma 90.00
_symmetry_space_group_name_H-M 'C m m m'
_symmetry_Int_Tables_number 65
_symmetry_space_group_name_Hall '-C 2 2'
loop_
_atom_site_label
_atom_site_type_symbol
_atom_site_fract_x
_atom_site_fract_y
_atom_site_fract_z
_atom_site_occupancy
Zn1 Zn 0.000 0.000 0.000 1
Cu1 Cu 0.000 0.169 0.500 1
Cu2 Cu 0.000 0.500 0.500 1
Pt1 Pt 0.000 0.340 0.000 1
```

Properties
* spin magnetization: 0.000 μB/cell

---

Stability ranking, top and bottom: <b> is the most stable and <a> is the least stable.

---

<a>
Here is crystalline Zn4Cu5Pt at its relaxed geometry from the Alexandria database. Energies are from PBE.

```
data_Zn4Cu5Pt
_chemical_formula_sum 'Zn8 Cu10 Pt2'
_cell_length_a 7.497
_cell_length_b 8.566
_cell_length_c 4.410
_cell_angle_alpha 90.00
_cell_angle_beta 90.00
_cell_angle_gamma 90.00
_symmetry_space_group_name_H-M 'P m m n'
_symmetry_Int_Tables_number 59
loop_
_symmetry_equiv_pos_as_xyz
'x,y,z'
'-x,-y,-z'
'-x+1/2,-y+1/2,z'
'x+1/2,y+1/2,-z'
'x+1/2,-y,-z'
'-x+1/2,y,z'
'-x,y+1/2,-z'
'x,-y+1/2,z'
loop_
_atom_site_label
_atom_site_type_symbol
_atom_site_fract_x
_atom_site_fract_y
_atom_site_fract_z
_atom_site_occupancy
Zn1 Zn 0.052 0.250 0.026 1
Zn2 Zn 0.250 0.554 0.241 1
Cu1 Cu 0.082 0.503 0.744 1
Cu2 Cu 0.250 0.750 0.705 1
Pt1 Pt 0.250 0.250 0.525 1
```
*/

Done >
* spin magnetization: 0.000 μB/cell
* spin magnetization: 0.000 μB/cell
* spin magnetization: 0.000 μB/cell
* spin magnetization: 0.000 μB/cell